(Data)
1.
C34H34DyP | ωB97M-V/def2-TZVPD

```
70
Properties=species:S:1:pos:R:3:forces:R:3
Dy -0.3507 0.3121 0.9175 -0.008 0.953 -0.367
C -3.5619 -1.3234 0.6241 0.085 0.055 0.058
C -2.4602 -1.2326 1.6586 0.083 -0.305 0.108
C -1.3714 -2.1416 1.5938 -0.031 -0.025 0.539
C -1.5236 -3.4272 0.8237 0.043 0.128 -0.233
C -0.2465 -1.9540 2.4355 -0.462 -0.215 0.221
C 0.9292 -2.8968 2.3256 -0.041 0.165 -0.047
C -0.2955 -0.9783 3.4654 -0.138 -0.247 -0.209
C 0.8304 -0.9175 4.4702 -0.065 0.076 -0.066
C -1.4682 -0.2017 3.6470 0.081 -0.053 -0.319
C -1.5785 0.7179 4.8323 0.054 0.181 -0.175
C -2.5572 -0.3365 2.7504 0.290 -0.124 -0.110
C -3.8714 0.3468 3.0261 0.064 0.027 -0.071
H -4.2865 -2.0967 0.8828 -0.048 -0.039 0.028
H -3.1506 -1.5740 -0.3577 -0.072 -0.011 0.116
H -4.1076 -0.3840 0.5399 0.049 -0.040 -0.038
H -1.0614 -4.2384 1.3828 0.007 -0.008 -0.009
H -1.0828 -3.4166 -0.1740 -0.057 0.043 0.142
H -2.5792 -3.6606 0.7185 -0.027 -0.054 -0.054
H 0.7852 -3.7500 2.9911 0.022 -0.043 0.052
H 1.8629 -2.4150 2.6132 -0.012 -0.036 -0.039
H 1.0336 -3.2888 1.3147 0.017 0.033 0.030
H 1.1632 -1.9221 4.7224 0.064 -0.006 -0.050
H 0.5087 -0.4504 5.3947 0.053 0.042 -0.017
H 1.6932 -0.3606 4.0920 0.011 -0.054 0.062
H -1.8132 0.1608 5.7415 0.020 -0.048 -0.007
H -2.3559 1.4590 4.6883 -0.004 0.078 0.036
H -0.6452 1.2496 4.9960 0.026 0.051 0.102
H -3.9296 1.3379 2.5720 -0.059 0.041 0.015
H -4.0269 0.4542 4.0960 0.009 0.041 -0.013
H -4.6955 -0.2515 2.6478 -0.021 0.042 -0.065
C 5.5531 -0.5645 -3.1840 -0.036 0.056 0.058
C 4.3329 -0.9788 -3.6971 -0.002 -0.004 -0.063
C 3.1558 -0.6354 -3.0594 -0.072 0.104 0.111
C 3.2031 0.1104 -1.8812 -0.002 -0.119 0.582
C 4.4285 0.5403 -1.3745 -0.202 0.003 0.035
C 5.5987 0.2139 -2.0377 0.086 -0.004 -0.033
P 1.6946 0.5490 -0.9495 -0.226 0.254 -1.285
C 0.5074 -0.7470 -1.5842 -0.138 0.253 0.377
C -0.7452 -0.4346 -2.1389 0.315 0.101 -0.126
C -1.5094 -1.4410 -2.7218 -0.050 -0.103 0.015
C -1.0600 -2.7524 -2.7321 0.012 0.066 0.037
C 0.1519 -3.0750 -2.1334 0.186 0.074 -0.018
C 0.9256 -2.0843 -1.5509 -0.039 -0.066 0.168
C 1.0604 2.0745 -1.7681 0.191 0.110 0.166
C 1.6919 2.4877 -2.9227 -0.123 -0.339 0.299
C 1.3264 3.6714 -3.5723 -0.183 0.223 0.001
C 0.3567 4.4650 -3.0305 0.181 -0.166 -0.112
C -0.2936 4.1029 -1.8311 0.035 -0.377 0.115
C -1.2734 4.9536 -1.2805 -0.099 -0.120 0.210
C -1.9093 4.6180 -0.1220 -0.056 0.080 0.031
C -1.6229 3.3971 0.5104 0.255 -0.601 0.127
C -0.6909 2.4878 0.0158 -0.133 -0.200 0.208
C 0.0230 2.8763 -1.1758 0.154 -0.198 -0.049
H 6.4670 -0.8468 -3.6816 0.110 0.000 -0.062
H 4.2952 -1.5709 -4.5988 0.011 -0.026 -0.087
H 2.2087 -0.9397 -3.4809 0.000 -0.043 -0.046
H 4.4597 1.1357 -0.4710 0.067 0.001 0.047
H 6.5470 0.5593 -1.6563 0.079 0.007 0.060
H -1.0581 0.6028 -2.2447 0.032 -0.083 0.089
H -2.4316 -1.1895 -3.2206 -0.167 0.057 -0.002
H -1.6442 -3.5273 -3.2067 -0.055 -0.007 -0.060
H 0.5055 -4.0964 -2.1388 0.023 -0.061 -0.020
H 1.8941 -2.3299 -1.1245 -0.070 -0.036 -0.043
H 2.4866 1.8887 -3.3411 0.052 0.028 -0.051
H 1.8246 3.9446 -4.4886 0.039 0.081 -0.085
H 0.0650 5.3843 -3.5130 0.001 0.156 -0.064
H -1.5055 5.8729 -1.7940 -0.038 0.158 -0.037
H -2.6420 5.2760 0.3164 -0.095 0.118 0.008
H -2.1644 3.1817 1.4333 0.021 -0.030 -0.122
```
Forces are in eV/Å.

Summary:
2S+1: 6
<S²>: 9.357
Energy relative to the best compared isomer or geometry (same formula, charge and spin) in kJ/mol: 13.4
Charge: +2

Löwdin atomic charge list, values in e, 2 entries:
1. Dy 1.717
2. C -0.016

=====

2.
C34H34IN7OSr | ωB97M-V/def2-TZVPD

```
78
Properties=species:S:1:pos:R:3:forces:R:3
Sr -0.5829 -0.1683 -1.1023 -0.833 7.053 -0.181
C 0.0985 -2.4326 -0.7595 -0.064 -0.503 -0.509
C -1.4604 -2.4743 -1.2628 0.195 -0.131 0.827
C -2.4495 -1.8939 -0.1727 0.416 -0.382 -1.091
C -2.7535 -2.6323 0.9544 -0.131 0.163 0.162
C -3.5769 -2.0477 1.9068 -0.031 0.027 0.091
C -4.0577 -0.7663 1.6973 0.059 -0.031 -0.077
C -3.6921 -0.1035 0.5368 -0.175 0.049 -0.396
N -2.9224 -0.6517 -0.4028 -0.054 -1.215 0.618
N 0.9978 -1.7161 -1.7982 0.412 -1.926 0.721
(Wanted)
What is needed: write out only the lines earlier on with the word "Dy" in them.
(Reply)
Dy -0.3507 0.3121 0.9175 -0.008 0.953 -0.367
1. Dy 1.717